Showing posts with label landscape. Show all posts
Showing posts with label landscape. Show all posts

Monday, 7 June 2021

Artist Website in the Making

I'm in the process of creating my artist website which I hope to launch in August with a weekend Open Studio & Garden event. Dates for diary: 21st/22nd August 2021.

Here is a sample of original work that is for sale. There will also be cards & prints available. 

Thursday, 12 March 2020

More artist's work from Fearless Painting

Interesting to note the palette knife work of Angela (distance learner) and Sue (on course)
Angela Russell

Sue White
Kat's ability to use perspective....
Kathleen De Vreese

Kathleen De Vreese

Monday, 10 February 2020

Collage Workshop Sunday 9th Feb: some wonderful work!

Judith Christopherson

Nadege Martin

Kathleen De Vreese

Janet Maddams

Sue Childs

Janet Maddams

Kathleen De Vreese

Nadege Martin
Janet Maddams

Compound: Sr2CeSn3Rh4
Source: the Alexandria database
Functional: GGA-PBE
Structure: relaxed

Summary:
crystal system = tetragonal
density of states at the Fermi level = 0.68 states/eV per atom
theoretical density = 7.6 g/cm³
energy of formation = -0.684 eV/atom

The structure in CIF format:
```
data_Sr2CeSn3Rh4
_chemical_formula_sum 'Sr2 Ce1 Sn3 Rh4'
_cell_length_a 4.592
_cell_length_b 4.592
_cell_length_c 11.158
_cell_angle_alpha 90.00
_cell_angle_beta 90.00
_cell_angle_gamma 90.00
_space_group_name_H-M_alt 'P -4 m 2'
_space_group_IT_number 115
loop_
_space_group_symop_operation_xyz
'x,y,z'
'y,-x,-z'
'-x,-y,z'
'-y,x,-z'
'-x,y,z'
'-y,-x,-z'
'x,-y,z'
'y,x,-z'
loop_
_atom_site_label
_atom_site_fract_x
_atom_site_fract_y
_atom_site_fract_z
Sr1 0.000 0.500 0.228
Ce1 0.000 0.000 0.500
Sn1 0.000 0.500 0.876
Sn2 0.500 0.500 0.500
Rh1 0.000 0.000 0.000
Rh2 0.000 0.500 0.636
Rh3 0.500 0.500 0.000
```

=====

Compound: SrCeRh2
Source: the Alexandria database
Functional: GGA-PBE
Structure: relaxed

Summary:
crystal system = tetragonal
density of states at the Fermi level = 0.90 states/eV per atom
theoretical density = 7.9 g/cm³
energy of formation = -0.535 eV/atom

The structure in CIF format:
```
data_SrCeRh2
_chemical_formula_sum 'Sr1 Ce1 Rh2'
_cell_length_a 3.502
_cell_length_b 3.502
_cell_length_c 7.401
_cell_angle_alpha 90.00
_cell_angle_beta 90.00
_cell_angle_gamma 90.00
_space_group_name_H-M_alt 'P 4/m m m'
_space_group_IT_number 123
_space_group_name_Hall '-P 4 2'
loop_
_atom_site_label
_atom_site_fract_x
_atom_site_fract_y
_atom_site_fract_z
Sr1 0.000 0.000 0.000
Ce1 0.000 0.000 0.500
Rh1 0.500 0.500 0.299
```

=====

Compound: SrCeRh
Source: the Alexandria database
Functional: GGA-PBE
Structure: relaxed

Summary:
crystal system = monoclinic
density of states at the Fermi level = 1.75 states/eV per atom
theoretical density = 5.5 g/cm³
energy of formation = -0.357 eV/atom

The structure in CIF format:
```
data_SrCeRh
_chemical_formula_sum 'Sr8 Ce8 Rh8'
_cell_length_a 21.150
_cell_length_b 4.628
_cell_length_c 8.119
_cell_angle_alpha 90.00
_cell_angle_beta 91.86
_cell_angle_gamma 90.00
_space_group_name_H-M_alt 'C 1 2/m 1'
_space_group_IT_number 12
loop_
_space_group_symop_operation_xyz
'x,y,z'
'-x,-y,-z'
'-x,y,-z'
'x,-y,z'
'x+1/2,y+1/2,z'
'-x+1/2,-y+1/2,-z'
'-x+1/2,y+1/2,-z'
'x+1/2,-y+1/2,z'
loop_
_atom_site_label
_atom_site_fract_x
_atom_site_fract_y
_atom_site_fract_z
Sr1 0.075 0.000 0.329
Sr2 0.089 0.500 0.868
Ce1 0.209 0.000 0.619
Ce2 0.230 0.000 0.106
Rh1 0.165 0.500 0.535
Rh2 0.174 0.500 0.198
```

=====

Compound: Sr2CeRh2
Source: the Alexandria database
Functional: GGA-PBE
Structure: relaxed

Summary:
crystal system = monoclinic
density of states at the Fermi level = 0.81 states/eV per atom
theoretical density = 6.1 g/cm³
energy of formation = -0.473 eV/atom

The structure in CIF format:
```
data_Sr2CeRh2
_chemical_formula_sum 'Sr8 Ce4 Rh8'
_cell_length_a 11.256
_cell_length_b 6.784
_cell_length_c 7.452
_cell_angle_alpha 90.00

Kathleen De Vreese

Judith Christopherson

Sue Childs

Wednesday, 6 March 2019

Exploring Abstracts: Participants work Week 2

Marianne Fearnside

Marianne Fearnside

Sue Childs

Sue Childs

Barry Morgan

Barry Morgan

Sue White

Sue White

Cornelia Verwijs

Cornelia Verwijs

Jane Fisher

Jane Fisher

Lesley Sharp

Lesley Sharp

Fliss Carlton

Fliss Carlton

Catherine Morgan

Join the next workshop or class and enjoy art making yourself.
Chagall Workshop Sunday 28th April 10-4. Creek Creative, Faversham. £45

Landscape Sketch and Paint Tuesdays 10-12.30. 7th May-18th June. Chartham Hatch Village Hall. 6 weeks. £110
See below.

Monday, 4 March 2019

Landscape Sketch & Paint Short Course

We will go out into nearby ancient apple orchard and fields with oast views to sketch & return to base for painting. 8 Places ONLY.

Tuesday, 22 January 2019

Wonderful Paintings from Landscape from Photos Workshop

Nadege Martin, Oare marshes, first painting
Nadege Martin, second of 2 paintings
Catherine Morgan, Edenderry, Ireland: 2nd painting

Catherine Morgan, as above, first painting.

Caroline Lamoon, after a series of studies

Bev Smart, Chartham view

Fliss Carlton, showing the two paintings of same scene

Fliss Carlton, from the imagination

Cornelia Verwijs

Barry Morgan

Barry Morgan, same scene onto red ground

Barry Morgan

Barry Morgan

Lesley Sharp, Turkey Bank, Chartham

Lesley Sharp, same view but influenced by Van Gogh

Jane Fisher, same view, second painting, freer marks

Materials data, kept here for reference >
____________
# LaTiZn2 PBE-GGA optimized geometry
# - DFT formation energy (eV per formula unit) = -0.15
data_LaTiZn2
_symmetry_space_group_name_H-M 'F m -3 m'
_symmetry_Int_Tables_number 225
_symmetry_space_group_name_Hall '-F 4 2 3'
_cell_length_a 6.9681
_cell_length_b 6.9681
_cell_length_c 6.9681
_cell_angle_alpha 90.00
_cell_angle_beta 90.00
_cell_angle_gamma 90.00
loop_
_atom_site_label
_atom_site_type_symbol
_atom_site_fract_x
_atom_site_fract_y
_atom_site_fract_z
La1 La 0.0000 0.0000 0.0000
Ti1 Ti 0.0000 0.0000 0.5000
Zn1 Zn 0.2500 0.2500 0.2500

---

# BaBe2SbMo PBE-GGA optimized geometry
# - E_form (uncorrected) (eV per atom) = 2.54
data_BaBe2SbMo
_symmetry_space_group_name_H-M 'P 4/m m m'
_symmetry_Int_Tables_number 123
_symmetry_space_group_name_Hall '-P 4 2'
_cell_length_a 4.7497
_cell_length_b 4.7497
_cell_length_c 5.9253
_cell_angle_alpha 90.00
_cell_angle_beta 90.00
_cell_angle_gamma 90.00
loop_
_atom_site_label
_atom_site_type_symbol
_atom_site_fract_x
_atom_site_fract_y
_atom_site_fract_z
Ba1 Ba 0.0000 0.0000 0.0000
Be1 Be 0.0000 0.5000 0.0000
Sb1 Sb 0.0000 0.0000 0.5000
Mo1 Mo 0.5000 0.5000 0.5000

---

# LiCeMgSi PBE-GGA optimized geometry
# - E_form (uncorrected) (eV per atom) = -0.20
data_LiCeMgSi
_symmetry_space_group_name_H-M 'F -4 3 m'
_symmetry_Int_Tables_number 216
_symmetry_space_group_name_Hall 'F -4 2 3'
_cell_length_a 6.8589
_cell_length_b 6.8589
_cell_length_c 6.8589
_cell_angle_alpha 90.00
_cell_angle_beta 90.00
_cell_angle_gamma 90.00
loop_
_atom_site_label
_atom_site_type_symbol
_atom_site_fract_x
_atom_site_fract_y
_atom_site_fract_z
Li1 Li 0.0000 0.0000 0.0000
Ce1 Ce 0.2500 0.2500 0.7500
Mg1 Mg 0.2500 0.2500 0.2500
Si1 Si 0.0000 0.0000 0.5000

---

# InHgBr3 PBE-GGA optimized geometry
# - E_form (uncorrected) (eV per atom) = -0.59
data_InHgBr3
_symmetry_space_group_name_H-M 'C 1 2/c 1'
_symmetry_Int_Tables_number 15
_symmetry_space_group_name_Hall '-C 2yc'
_cell_length_a 8.2907
_cell_length_b 14.0625
_cell_length_c 15.2638
_cell_angle_alpha 90.00
_cell_angle_beta 98.20
_cell_angle_gamma 90.00
loop_
_atom_site_label
_atom_site_type_symbol
_atom_site_fract_x
_atom_site_fract_y
_atom_site_fract_z
In1 In 0.1658 0.2011 0.1063
Hg1 Hg 0.1987 0.4657 0.7755
Br1 Br 0.0938 0.3461 0.9819
Br2 Br 0.0950 0.1100 0.4259
Br3 Br 0.2503 0.1926 0.7624

---

Values for DOS at the Fermi energy, states/eV/cell, ordered as above
25.611; 8.199; 26.574; 0.000

----------

1.
DFT (PBE) results for a geometry-optimized Li4OsAuO6 structure.

Output
- raw total energy (eV/atom) = -5.5864
- size of the total moment (μB per cell) = 6.0

a b c (Å): 5.5364 8.8577 5.2585
angles (deg): 90.00 114.87 90.00
Closest atoms and distances in Å follow each position.
Space group C2 (No. 5)
Unique sites:
Li: 0.0000 0.0000 0.0000 [2 per cell]  4 O 2.07-2.08
Li: 0.0000 0.1532 0.5000 [2 per cell]  6 O 1.97-2.20
Li: 0.0000 0.5040 0.5000 [2 per cell]  6 O 2.15-2.20
Li: 0.0000 0.8273 0.5000 [2 per cell]  4 O 2.08
Os: 0.0000 0.3185 0.0000 [2 per cell]  6 O 1.92-2.03
____________

Jane Fisher, Chartham View, first painting

'''
No. 1
Compound: SiBiC2
Source: Alexandria
Functional: GGA-PBE
Structure: optimized geometry

Computed properties:
Total magnetic moment = 0.00 μB/f.u.
Energy relative to the elements, uncorrected = 2319 meV/atom
SG = No. 225
DOS(E_F) = 2.65 states/eV/cell
Energy = -18.5 eV for the cell shown
E above lowest polymorph = 1465 meV/atom
ρ = 7.83 g cm⁻³

Geometry as extended XYZ:
```
4
Lattice="0.0000 3.0251 3.0251 3.0251 0.0000 3.0251 3.0251 3.0251 0.0000" Properties=species:S:1:pos:R:3 pbc="T T T"
Si 0.0000 0.0000 0.0000
Bi 3.0251 3.0251 3.0251
C 1.5125 1.5125 1.5125
C 4.5376 4.5376 4.5376
```

No. 2
Compound: Cs2PrGa2O6
Source: Alexandria
Functional: GGA-PBE
Structure: optimized geometry

Computed properties:
Total magnetic moment = 1.09 μB/f.u.
Energy relative to the elements, uncorrected = -1849 meV/atom
SG = No. 166
DOS(E_F) = 10.33 states/eV/cell
Energy = -62.6 eV for the cell shown
ρ = 4.57 g cm⁻³

Geometry as extended XYZ:
```
11
Lattice="3.1767 1.8340 6.6818 -3.1767 1.8340 6.6818 0.0000 -3.6681 6.6818" Properties=species:S:1:pos:R:3 pbc="T T T"
Cs 0.0000 0.0000 4.1541
Cs 0.0000 0.0000 15.8915
Pr 0.0000 0.0000 0.0000
Ga 0.0000 0.0000 8.1479
Ga 0.0000 0.0000 11.8976
O 0.0000 -1.7881 8.1694
O -1.5486 0.8941 8.1694
O -1.5486 -0.8941 11.8761
O 1.5486 0.8941 8.1694
O 1.5486 -0.8941 11.8761
O 0.0000 1.7881 11.8761
```

No. 3
Compound: AgWAu4
Source: Alexandria
Functional: GGA-PBE
Structure: optimized geometry

Computed properties:
Total magnetic moment = 3.19 μB/f.u.
ΔH_f (0 K) = 669.1 meV per atom
SG = No. 216
DOS(E_F) = 3.52 states/eV/cell
Energy = -24.9 eV for the cell shown
ρ = 15.76 g cm⁻³

Geometry as extended XYZ:
```
6
Lattice="0.0000 3.8457 3.8457 3.8457 0.0000 3.8457 3.8457 3.8457 0.0000" Properties=species:S:1:pos:R:3 pbc="T T T"
Ag 0.0000 0.0000 0.0000
W 1.9228 1.9228 1.9228
Au 4.8069 2.8844 2.8844
Au 2.8844 4.8069 2.8844
Au 2.8844 2.8844 4.8069
Au 4.8069 4.8069 4.8069
```

No. 4
Compound: SrInOs2
Source: Alexandria
Functional: GGA-PBE
'''

Jane Fisher, 3rd painting on red ground

9 participants assembled on Sunday 20th January at Creek Creative Faversham for this day of creating expressive paintings using photos as a start point. We looked at Expressionists and contemporary landscape painters for inspiration.

Next Short Course: EXPLORING ABSTRACTS: 5 x Tuesdays, mornings or afternoons.
Starts 26th February- 2nd April (No class 12th March)
Creek Creative, Faversham. £95